Listing:
Density functional theory data (GGA-PBE) for an optimized crystal structure of NbTc2Pd.

Summary:
The space-group type is F-43m. As for the energy: -8.88 eV per atom. As for the size of the total moment: 0.01 μB per cell.

Unit cell a=4.4608 b=4.4608 c=4.4608 alpha=60.00 beta=60.00 gamma=60.00
Element x y z (fractional)
Nb1 0.7500 0.7500 0.7500
Pd1 0.5000 0.5000 0.5000
Tc1 0.0000 0.0000 0.0000
Tc2 0.2500 0.2500 0.2500



Density functional theory data (GGA-PBE) for an optimized crystal structure of NbTe2Pd2.

Summary:
The space-group type is I4/mmm. As for the energy: -5.34 eV per atom. As for the size of the total moment: 0.71 μB per cell.

Unit cell a=7.8075 b=7.8075 c=7.8075 alpha=152.53 beta=152.53 gamma=39.24
Element x y z (fractional)
Nb1 0.0000 0.0000 0.0000
Pd1 0.7500 0.2500 0.5000
Pd2 0.2500 0.7500 0.5000
Te1 0.3923 0.3923 0.0000
Te2 0.6077 0.6077 0.0000



Density functional theory data (GGA-PBE) for an optimized crystal structure of NbTe5Pd.

Summary:
The space-group type is Pnma. As for the energy: -4.80 eV per atom. As for the size of the total moment: 0.01 μB per cell.

Unit cell a=15.8874 b=3.7644 c=13.1389 alpha=90.00 beta=90.00 gamma=90.00
Element x y z (fractional)
Nb1 0.3418 0.2500 0.2476
Nb2 0.8418 0.2500 0.2524
Nb3 0.1582 0.7500 0.7476
Nb4 0.6582 0.7500 0.7524
Pd1 0.0918 0.7500 0.2391
Pd2 0.5918 0.7500 0.2609
Pd3 0.4082 0.2500 0.7391
Pd4 0.9082 0.2500 0.7609
Te1 0.3475 0.7500 0.0831
Te2 0.1808 0.2500 0.1348
Te3 0.9407 0.7500 0.1360
Te4 0.7375 0.7500 0.1470
Te5 0.5075 0.2500 0.1536
Te6 0.0075 0.2500 0.3464
Te7 0.2375 0.7500 0.3530
Te8 0.4407 0.7500 0.3640
Te9 0.6808 0.2500 0.3652
Te10 0.8475 0.7500 0.4169
Te11 0.1525 0.2500 0.5831
Te12 0.3192 0.7500 0.6348
Te13 0.5593 0.2500 0.6360
Te14 0.7625 0.2500 0.6470
Te15 0.9925 0.7500 0.6536
Te16 0.4925 0.7500 0.8464
Te17 0.2625 0.2500 0.8530
Te18 0.0593 0.2500 0.8640
Te19 0.8192 0.7500 0.8652
Te20 0.6525 0.2500 0.9169



Density functional theory data (GGA-PBE) for an optimized crystal structure of Nb2TlPd.

Summary:
The space-group type is F-43m. As for the energy: -6.63 eV per atom. As for the size of the total moment: 0.03 μB per cell.

Unit cell a=4.7207 b=4.7207 c=4.7207 alpha=60.00 beta=60.00 gamma=60.00
Element x y z (fractional)
Nb1 0.0000 0.0000 0.0000
Nb2 0.7500 0.7500 0.7500
Pd1 0.2500 0.2500 0.2500
Tl1 0.5000 0.5000 0.5000



> Among the records above, which one has the highest energy?

NbTe5Pd



> What is the size of the total moment in the third record?

0.01 μB per cell



> The highest size of the total moment belongs to which entry?

NbTe2Pd2

=====

Entry 1:
DFT (PBE) results for SmHoPt10 after structural relaxation.

Lattice parameters (Å, degrees): 4.4572 5.3839 9.2707 90.00 90.00 90.00
With the nearest neighbours (Å) after each atom.
Space group Pmmm (No. 47)
Asymmetric unit:
Sm 0.0000 0.0000 0.0000 x1  6 Pt 3.11-3.12
Ho 0.0000 0.5000 0.5000 x1  6 Pt 3.06-3.09
Pt 0.0000 0.0000 0.3355 x2  6 Pt 2.70-2.72
Pt 0.0000 0.5000 0.1696 x2  6 Pt 2.71-2.73
Pt 0.5000 0.0000 0.5000 x1  8 Pt 2.67-2.70
Pt 0.5000 0.2506 0.2513 x4  8 Pt 2.67-2.72
Pt 0.5000 0.5000 0.0000 x1  8 Pt 2.69-2.73

Formation enthalpy at 0 K   -8.3 eV/f.u.
Uncorrected energy   -78.0 eV/cell
D(E_F)   0.806 states/eV/atom

---

Entry 2:
DFT (PBE) results for Sm3HoPt8 after structural relaxation.

Lattice parameters (Å, degrees): 5.4705 5.4705 26.8189 90.00 90.00 120.00
With the nearest neighbours (Å) after each atom.
Space group R3m (No. 160, hexagonal axes)
Asymmetric unit:
Sm 0.0000 0.0000 0.0000 x3  12 Pt 3.18-3.21, 3 Ho 3.34, 1 Sm 3.37
Sm 0.0000 0.0000 0.1256 x3  12 Pt 3.21-3.22, 4 Sm 3.36-3.37
Sm 0.0000 0.0000 0.5013 x3  12 Pt 3.21-3.24, 1 Ho 3.34, 3 Sm 3.36
Ho 0.0000 0.0000 0.6260 x3  12 Pt 3.19-3.21, 4 Sm 3.34
Pt 0.0000 0.0000 0.3130 x3  6 Pt 2.72-2.73
Pt 0.0000 0.0000 0.8131 x3  6 Pt 2.74-2.75
Pt 0.0003 0.5001 0.5637 x9  6 Pt 2.72-2.75
Pt 0.1672 0.3343 0.3960 x9  6 Pt 2.73-2.74

Formation enthalpy at 0 K   -13.2 eV/f.u.
Uncorrected energy   -240.7 eV/cell

Exercise:
What is needed: echo the lines earlier on up to the one that holds "0.7500 0.0831", that line included.

Written answer:
Density functional theory data (GGA-PBE) for an optimized crystal structure of NbTc2Pd.

Summary:
The space-group type is F-43m. As for the energy: -8.88 eV per atom. As for the size of the total moment: 0.01 μB per cell.

Unit cell a=4.4608 b=4.4608 c=4.4608 alpha=60.00 beta=60.00 gamma=60.00
Element x y z (fractional)
Nb1 0.7500 0.7500 0.7500
Pd1 0.5000 0.5000 0.5000
Tc1 0.0000 0.0000 0.0000
Tc2 0.2500 0.2500 0.2500



Density functional theory data (GGA-PBE) for an optimized crystal structure of NbTe2Pd2.

Summary:
The space-group type is I4/mmm. As for the energy: -5.34 eV per atom. As for the size of the total moment: 0.71 μB per cell.

Unit cell a=7.8075 b=7.8075 c=7.8075 alpha=152.53 beta=152.53 gamma=39.24
Element x y z (fractional)
Nb1 0.0000 0.0000 0.0000
Pd1 0.7500 0.2500 0.5000
Pd2 0.2500 0.7500 0.5000
Te1 0.3923 0.3923 0.0000
Te2 0.6077 0.6077 0.0000



Density functional theory data (GGA-PBE) for an optimized crystal structure of NbTe5Pd.

Summary:
The space-group type is Pnma. As for the energy: -4.80 eV per atom. As for the size of the total moment: 0.01 μB per cell.

Unit cell a=15.8874 b=3.7644 c=13.1389 alpha=90.00 beta=90.00 gamma=90.00
Element x y z (fractional)
Nb1 0.3418 0.2500 0.2476
Nb2 0.8418 0.2500 0.2524
Nb3 0.1582 0.7500 0.7476
Nb4 0.6582 0.7500 0.7524
Pd1 0.0918 0.7500 0.2391
Pd2 0.5918 0.7500 0.2609
Pd3 0.4082 0.2500 0.7391
Pd4 0.9082 0.2500 0.7609
Te1 0.3475 0.7500 0.0831